(Entries)
La3P2Pt9: simulated XRD peak list (Cu Kα, 1.54184 Å), based on DFT lattice parameters and positions (GGA-PBE).
Peak positions follow from Bragg's law for the DFT cell and can differ from measured ones.

Principal peaks in the range 2θ = 5–70°, sorted by position:
2θ = 19.92°, I = 18
2θ = 30.01°, I = 68
2θ = 35.35°, I = 19
2θ = 36.44°, I = 100
2θ = 38.21°, I = 86
2θ = 40.56°, I = 41
2θ = 43.43°, I = 44
2θ = 54.48°, I = 39
2θ = 58.83°, I = 12
2θ = 62.74°, I = 36

Structure:
Unit cell a=5.9232 b=5.9232 c=17.8649 alpha=90.00 beta=90.00 gamma=120.00
Fractional positions:
La  0.0000  0.0000  0.2500
La  0.0000  0.0000  0.7500
La  0.3333  0.6667  0.0912
La  0.3333  0.6667  0.4088
La  0.6667  0.3333  0.5912
La  0.6667  0.3333  0.9088
P  0.3333  0.6667  0.6517
P  0.3333  0.6667  0.8483
P  0.6667  0.3333  0.1517
P  0.6667  0.3333  0.3483
Pt  0.0155  0.5077  0.2500
Pt  0.1603  0.3206  0.5658
Pt  0.1603  0.3206  0.9342
Pt  0.1603  0.8397  0.5658
Pt  0.1603  0.8397  0.9342
Pt  0.3206  0.1603  0.0658
Pt  0.3206  0.1603  0.4342
Pt  0.4923  0.5077  0.2500
Pt  0.4923  0.9845  0.2500
Pt  0.5077  0.0155  0.7500
Pt  0.5077  0.4923  0.7500
Pt  0.6794  0.8397  0.5658
Pt  0.6794  0.8397  0.9342
Pt  0.8397  0.1603  0.0658
Pt  0.8397  0.1603  0.4342
Pt  0.8397  0.6794  0.0658
Pt  0.8397  0.6794  0.4342
Pt  0.9845  0.4923  0.7500


La2P3PtRh12: simulated XRD peak list (Cu Kα, 1.54184 Å), based on DFT lattice parameters and positions (GGA-PBE).
Peak positions follow from Bragg's law for the DFT cell and can differ from measured ones.

Principal peaks in the range 2θ = 5–70°, sorted by position:
2θ = 27.55°, I = 16
2θ = 32.45°, I = 26
2θ = 34.20°, I = 100
2θ = 36.25°, I = 15
2θ = 40.84°, I = 11
2θ = 42.28°, I = 77
2θ = 54.27°, I = 11
2θ = 55.31°, I = 17
2θ = 56.89°, I = 18
2θ = 63.01°, I = 16

Structure:
Unit cell a=6.9952 b=6.9952 c=6.9952 alpha=75.35 beta=75.35 gamma=75.35
Fractional positions:
La  0.1098  0.1098  0.1098
La  0.8902  0.8902  0.8902
P  0.0000  0.5000  0.5000
P  0.5000  0.0000  0.5000
P  0.5000  0.5000  0.0000
Pt  0.5000  0.5000  0.5000
Rh  0.1365  0.6541  0.6541
Rh  0.1692  0.1692  0.5845
Rh  0.1692  0.5845  0.1692
Rh  0.3459  0.3459  0.8635
Rh  0.3459  0.8635  0.3459
Rh  0.4155  0.8308  0.8308
Rh  0.5845  0.1692  0.1692
Rh  0.6541  0.1365  0.6541
Rh  0.6541  0.6541  0.1365
Rh  0.8308  0.4155  0.8308
Rh  0.8308  0.8308  0.4155
Rh  0.8635  0.3459  0.3459


LaPu5P6: simulated XRD peak list (Cu Kα, 1.54184 Å), based on DFT lattice parameters and positions (GGA-PBE).
Peak positions follow from Bragg's law for the DFT cell and can differ from measured ones.

Principal peaks in the range 2θ = 5–70°, sorted by position:
2θ = 27.03°, I = 81
2θ = 27.11°, I = 27
2θ = 31.34°, I = 100
2θ = 44.85°, I = 37
2θ = 44.96°, I = 37
2θ = 53.18°, I = 41
2θ = 53.29°, I = 14
2θ = 55.73°, I = 20
2θ = 55.91°, I = 7
2θ = 65.38°, I = 12

Structure:
Unit cell a=6.9994 b=6.9994 c=6.9802 alpha=99.64 beta=99.64 gamma=119.97
Fractional positions:
La  0.0000  0.0000  0.0000
Pu  0.1638  0.8362  0.5000
Pu  0.3326  0.6674  0.0000
Pu  0.5000  0.5000  0.5000
Pu  0.6674  0.3326  0.0000
Pu  0.8362  0.1638  0.5000
P  0.0862  0.4308  0.2570
P  0.2603  0.2603  0.7444
P  0.4308  0.0862  0.2570
P  0.5692  0.9138  0.7430
P  0.7397  0.7397  0.2556
P  0.9138  0.5692  0.7430

----------

Structure and theoretical powder XRD pattern of CoH8S2O12 (a cell relaxed with PBE+U; copper Kα).

Atomic structure:
a b c (Å): 5.7054 8.2968 11.5744
angles (deg): 90.00 103.17 90.00
Space group P2_1/c (No. 14)
Asymmetric unit:
Co  0.0000  0.0000  0.0000 (multiplicity 2)
H  0.2068  0.0587  0.8193 (multiplicity 4)
H  0.2171  0.7155  0.0220 (multiplicity 4)
H  0.2199  0.6313  0.3487 (multiplicity 4)
H  0.3216  0.6902  0.6403 (multiplicity 4)
S  0.3650  0.2148  0.6333 (multiplicity 4)
O  0.1261  0.5306  0.3513 (multiplicity 4)
O  0.1778  0.7016  0.5747 (multiplicity 4)
O  0.2085  0.0835  0.5766 (multiplicity 4)
O  0.2860  0.1256  0.0724 (multiplicity 4)
O  0.3543  0.2256  0.7605 (multiplicity 4)

(Activity)
Return only the last part of the calculation results further above, starting with the line that has "0.5912".

(Completed)
La  0.6667  0.3333  0.5912
La  0.6667  0.3333  0.9088
P  0.3333  0.6667  0.6517
P  0.3333  0.6667  0.8483
P  0.6667  0.3333  0.1517
P  0.6667  0.3333  0.3483
Pt  0.0155  0.5077  0.2500
Pt  0.1603  0.3206  0.5658
Pt  0.1603  0.3206  0.9342
Pt  0.1603  0.8397  0.5658
Pt  0.1603  0.8397  0.9342
Pt  0.3206  0.1603  0.0658
Pt  0.3206  0.1603  0.4342
Pt  0.4923  0.5077  0.2500
Pt  0.4923  0.9845  0.2500
Pt  0.5077  0.0155  0.7500
Pt  0.5077  0.4923  0.7500
Pt  0.6794  0.8397  0.5658
Pt  0.6794  0.8397  0.9342
Pt  0.8397  0.1603  0.0658
Pt  0.8397  0.1603  0.4342
Pt  0.8397  0.6794  0.0658
Pt  0.8397  0.6794  0.4342
Pt  0.9845  0.4923  0.7500


La2P3PtRh12: simulated XRD peak list (Cu Kα, 1.54184 Å), based on DFT lattice parameters and positions (GGA-PBE).
Peak positions follow from Bragg's law for the DFT cell and can differ from measured ones.

Principal peaks in the range 2θ = 5–70°, sorted by position:
2θ = 27.55°, I = 16
2θ = 32.45°, I = 26
2θ = 34.20°, I = 100
2θ = 36.25°, I = 15
2θ = 40.84°, I = 11
2θ = 42.28°, I = 77
2θ = 54.27°, I = 11
2θ = 55.31°, I = 17
2θ = 56.89°, I = 18
2θ = 63.01°, I = 16

Structure:
Unit cell a=6.9952 b=6.9952 c=6.9952 alpha=75.35 beta=75.35 gamma=75.35
Fractional positions:
La  0.1098  0.1098  0.1098
La  0.8902  0.8902  0.8902
P  0.0000  0.5000  0.5000
P  0.5000  0.0000  0.5000
P  0.5000  0.5000  0.0000
Pt  0.5000  0.5000  0.5000
Rh  0.1365  0.6541  0.6541
Rh  0.1692  0.1692  0.5845
Rh  0.1692  0.5845  0.1692
Rh  0.3459  0.3459  0.8635
Rh  0.3459  0.8635  0.3459
Rh  0.4155  0.8308  0.8308
Rh  0.5845  0.1692  0.1692
Rh  0.6541  0.1365  0.6541
Rh  0.6541  0.6541  0.1365
Rh  0.8308  0.4155  0.8308
Rh  0.8308  0.8308  0.4155
Rh  0.8635  0.3459  0.3459


LaPu5P6: simulated XRD peak list (Cu Kα, 1.54184 Å), based on DFT lattice parameters and positions (GGA-PBE).
Peak positions follow from Bragg's law for the DFT cell and can differ from measured ones.

Principal peaks in the range 2θ = 5–70°, sorted by position:
2θ = 27.03°, I = 81
2θ = 27.11°, I = 27
2θ = 31.34°, I = 100
2θ = 44.85°, I = 37
2θ = 44.96°, I = 37
2θ = 53.18°, I = 41
2θ = 53.29°, I = 14
2θ = 55.73°, I = 20
2θ = 55.91°, I = 7
2θ = 65.38°, I = 12

Structure:
Unit cell a=6.9994 b=6.9994 c=6.9802 alpha=99.64 beta=99.64 gamma=119.97
Fractional positions:
La  0.0000  0.0000  0.0000
Pu  0.1638  0.8362  0.5000
Pu  0.3326  0.6674  0.0000
Pu  0.5000  0.5000  0.5000
Pu  0.6674  0.3326  0.0000
Pu  0.8362  0.1638  0.5000
P  0.0862  0.4308  0.2570
P  0.2603  0.2603  0.7444
P  0.4308  0.0862  0.2570
P  0.5692  0.9138  0.7430
P  0.7397  0.7397  0.2556
P  0.9138  0.5692  0.7430

----------

Structure and theoretical powder XRD pattern of CoH8S2O12 (a cell relaxed with PBE+U; copper Kα).

Atomic structure:
a b c (Å): 5.7054 8.2968 11.5744
angles (deg): 90.00 103.17 90.00
Space group P2_1/c (No. 14)
Asymmetric unit:
Co  0.0000  0.0000  0.0000 (multiplicity 2)
H  0.2068  0.0587  0.8193 (multiplicity 4)
H  0.2171  0.7155  0.0220 (multiplicity 4)
H  0.2199  0.6313  0.3487 (multiplicity 4)
H  0.3216  0.6902  0.6403 (multiplicity 4)
S  0.3650  0.2148  0.6333 (multiplicity 4)
O  0.1261  0.5306  0.3513 (multiplicity 4)
O  0.1778  0.7016  0.5747 (multiplicity 4)
O  0.2085  0.0835  0.5766 (multiplicity 4)
O  0.2860  0.1256  0.0724 (multiplicity 4)
O  0.3543  0.2256  0.7605 (multiplicity 4)